### File
____________
Computed, not measured: an isolated molecule of C2H4N2S2, with the ωB97M-V functional and the def2-TZVPD basis.

Properties
- molecular weight (u) = 120.20
- multiplicity = 1
- orbital gap (eV) = 7.54
- HOMO level (hartree) = -0.318
- SMILES = NS/N=C\C=S
- energy relative to the best compared isomer or geometry (same formula, charge and spin) (eV) = 2.095
- largest force on an atom (eV Å⁻¹) = 1.518
- charge = 0

XYZ file:
```
10
C2H4N2S2 | the Open Molecules 2025 dataset | the ωB97M-V functional and the def2-TZVPD basis
S 0.322 -1.285 0.029
S -2.576 -0.531 0.021
N 1.966 -1.714 -0.093
N 0.440 0.293 0.020
C -0.495 1.192 -0.018
C -1.884 0.964 -0.042
H -0.142 2.218 -0.063
H -2.532 1.830 -0.103
____________
### Wanted
The reader should duplicate all of the calculation results further above character by character.
### Done
Computed, not measured: an isolated molecule of C2H4N2S2, with the ωB97M-V functional and the def2-TZVPD basis.

Properties
- molecular weight (u) = 120.20
- multiplicity = 1
- orbital gap (eV) = 7.54
- HOMO level (hartree) = -0.318
- SMILES = NS/N=C\C=S
- energy relative to the best compared isomer or geometry (same formula, charge and spin) (eV) = 2.095
- largest force on an atom (eV Å⁻¹) = 1.518
- charge = 0

XYZ file:
```
10
C2H4N2S2 | the Open Molecules 2025 dataset | the ωB97M-V functional and the def2-TZVPD basis
S 0.322 -1.285 0.029
S -2.576 -0.531 0.021
N 1.966 -1.714 -0.093
N 0.440 0.293 0.020
C -0.495 1.192 -0.018
C -1.884 0.964 -0.042
H -0.142 2.218 -0.063
H -2.532 1.830 -0.103